Material:
********
1.
A molecular structure, C21H43N2P3STi in a non-equilibrium geometry, computed with ωB97M-V/def2-TZVPD.

Values from the calculation:
calculated total energy = -3205.65641 hartree
HOMO level = -0.712 hartree
gap between HOMO and LUMO = 5.42 eV
ΔE to the lowest compared entry with this formula, charge and spin = 0.00 kJ/mol

Structure (ORCA input):
```
! RIJCOSX wB97M-V def2-TZVPD def2/J DEFGRID3
* xyz 4 1
Ti 1.23746 -0.80005 0.24425
P 2.51995 1.01926 1.26234
P -0.86437 -0.04314 1.42769
P -2.49104 3.58929 -2.34031
H 2.31678 -2.18545 -2.40649
C 1.59236 -1.34900 -2.31118
C 2.21527 -0.33285 -1.37222
H 3.22127 -0.67138 -0.98046
C 4.27171 0.49376 1.44340
C 2.17571 1.74376 2.90005
C 2.71517 2.55050 0.29799
C -2.46138 -0.84196 1.05251
C -0.72491 -0.51902 3.21008
C -1.35781 1.70337 1.59111
C -2.36062 4.19782 -4.03177
C -1.46053 4.55934 -1.22811
C -4.21809 3.54449 -1.84697
H 1.52664 -0.93436 -3.34932
H 2.28265 0.68699 -1.79001
H 4.48370 -0.40974 0.85365
H 4.47248 0.28268 2.50439
H 4.91669 1.31189 1.08496
H 1.50728 1.11401 3.49710
H 1.70302 2.72662 2.76279
H 3.13330 1.86270 3.42870
H 2.89732 2.34476 -0.75638
H 3.56977 3.09747 0.71585
H 1.80670 3.15695 0.37991
H -3.19682 -0.55948 1.82081
H -2.36590 -1.93496 1.05290
H -2.82855 -0.53268 0.06824
H -1.39592 0.12118 3.80469
H 0.29422 -0.41969 3.60146
H -1.02594 -1.56622 3.34988
H -2.14169 1.77762 2.36272
H -1.74809 2.06733 0.63092
H -0.50379 2.32732 1.89013
H -3.23734 4.82829 -4.24182
H -2.33880 3.34648 -4.72761
H -1.44401 4.79215 -4.14693
H -2.00631 5.46056 -0.91065
H -0.54196 4.84912 -1.76276
H -1.19049 3.95166 -0.35010
H -4.81582 4.13757 -2.55370
H -4.33283 3.94597 -0.83146
H -4.55098 2.49678 -1.87689
C -1.09397 -1.18350 -2.37124
C -2.28151 -1.95133 -2.38138
C -2.23425 -3.33963 -2.36667
C -1.05656 -4.00432 -2.80070
C 0.14507 -3.37134 -2.63633
C 0.19259 -1.98098 -1.99876
S -1.15699 0.47200 -2.51699
H -1.94463 2.18142 -2.24518
H -3.23257 -1.40027 -2.44653
H -3.12356 -3.92189 -2.10946
H -1.11931 -5.01020 -3.24428
H 1.10362 -3.81222 -2.92135
H 0.11080 -2.14528 -0.85559
C 2.89498 -2.47307 2.81296
C 1.70542 -3.10384 2.20142
N 0.94882 -2.74242 1.16364
C -0.12198 -3.66601 1.10726
C 0.06335 -4.59569 2.08309
N 1.20219 -4.21145 2.76792
H 3.22468 -3.15676 3.61802
H 3.70551 -2.39398 2.07126
H 2.65414 -1.49859 3.27605
H -0.93073 -3.56977 0.39951
H -0.52976 -5.44125 2.39482
H 1.61925 -4.66734 3.57516
*
```

Table of Löwdin atomic charges, one value per atom, all in e:
1. Ti 0.86
2. P 0.78
3. P 0.79
4. P 0.87
5. H 0.13
6. C -0.20
7. C -0.25
8. H 0.11
9. C -0.20
10. C -0.20
11. C -0.20
12. C -0.21
13. C -0.21
14. C -0.22
15. C -0.18
16. C -0.20
17. C -0.19
18. H 0.16
19. H 0.09
20. H 0.04
21. H 0.07
22. H 0.09
23. H 0.03
24. H 0.07
25. H 0.09
26. H 0.05
27. H 0.09
28. H 0.06
29. H 0.09
30. H 0.05
31. H 0.04
32. H 0.09
33. H 0.02
34. H 0.07
35. H 0.09
36. H 0.03
37. H 0.04
38. H 0.08
39. H 0.07
40. H 0.07
41. H 0.09
42. H 0.07
43. H 0.02
44. H 0.08
45. H 0.07
46. H 0.07
47. C -0.64
48. C -0.11
49. C 0.02
50. C -0.01
51. C 0.02
52. C -0.32
53. S 0.82
54. H -0.15
55. H 0.13
56. H 0.15
57. H 0.15
58. H 0.14
59. H 0.07
60. C 0.03
61. C -0.37
62. N -0.04
63. C -0.09
64. C 0.02
65. N 0.17
66. H 0.12
67. H 0.10
68. H 0.09
69. H 0.10
70. H 0.15
71. H 0.20


2.
A molecular structure, C21H43N2P3SeTl in a non-equilibrium geometry, computed with ωB97M-V/def2-TZVPD.

Values from the calculation:
calculated total energy = -4532.45828 hartree
HOMO level = -0.541 hartree
gap between HOMO and LUMO = 6.05 eV
ΔE to the lowest compared entry with this formula, charge and spin = 0.00 kJ/mol

Structure (ORCA input):
```
! RIJCOSX wB97M-V def2-TZVPD def2/J DEFGRID3
* xyz 3 1
Tl 3.25492 -1.75289 -3.60091
P -1.49370 0.86584 -2.31010
P -0.40076 0.82040 1.81895
P -1.93322 -2.21534 0.83796
H 4.37644 -4.43311 -4.22982
C 3.38369 -4.31591 -3.77477
C 2.32760 -3.90470 -4.56519
H 2.46886 -3.71655 -5.64043
C -0.12890 1.76289 -3.04191
C -2.64930 1.98176 -1.49976
C -2.28619 -0.21869 -3.49581
C 0.71355 0.22790 3.12184
C 0.51428 2.19330 1.06729
********
To do:
Your job: retype the lines further up up to the one that holds "0.71585", that line included.
Done:
1.
A molecular structure, C21H43N2P3STi in a non-equilibrium geometry, computed with ωB97M-V/def2-TZVPD.

Values from the calculation:
calculated total energy = -3205.65641 hartree
HOMO level = -0.712 hartree
gap between HOMO and LUMO = 5.42 eV
ΔE to the lowest compared entry with this formula, charge and spin = 0.00 kJ/mol

Structure (ORCA input):
```
! RIJCOSX wB97M-V def2-TZVPD def2/J DEFGRID3
* xyz 4 1
Ti 1.23746 -0.80005 0.24425
P 2.51995 1.01926 1.26234
P -0.86437 -0.04314 1.42769
P -2.49104 3.58929 -2.34031
H 2.31678 -2.18545 -2.40649
C 1.59236 -1.34900 -2.31118
C 2.21527 -0.33285 -1.37222
H 3.22127 -0.67138 -0.98046
C 4.27171 0.49376 1.44340
C 2.17571 1.74376 2.90005
C 2.71517 2.55050 0.29799
C -2.46138 -0.84196 1.05251
C -0.72491 -0.51902 3.21008
C -1.35781 1.70337 1.59111
C -2.36062 4.19782 -4.03177
C -1.46053 4.55934 -1.22811
C -4.21809 3.54449 -1.84697
H 1.52664 -0.93436 -3.34932
H 2.28265 0.68699 -1.79001
H 4.48370 -0.40974 0.85365
H 4.47248 0.28268 2.50439
H 4.91669 1.31189 1.08496
H 1.50728 1.11401 3.49710
H 1.70302 2.72662 2.76279
H 3.13330 1.86270 3.42870
H 2.89732 2.34476 -0.75638
H 3.56977 3.09747 0.71585